Could you filter the calculation results further below: keep the lines with the word "X-ray"?
# 1
The following is a computed X-ray powder pattern of Ca2DyMnSe4. It was derived from a crystal structure in Alexandria, relaxed with PBE, using Cu Kα (λ = 1.5418 Å).
Intensities are scaled so that the largest is 100.

Largest 10 diffraction maxima, by intensity, 5° ≤ 2θ ≤ 70°:
- 2θ 30.99, I = 100.0
- 2θ 44.43, I = 71.9
- 2θ 30.82, I = 51.1
- 2θ 44.08, I = 36.4
- 2θ 13.19, I = 23.8
- 2θ 55.00, I = 19.0
- 2θ 25.58, I = 14.8
- 2θ 64.59, I = 11.1
- 2θ 55.36, I = 9.0
- 2θ 54.71, I = 9.0

Crystal structure
```
Ca2DyMnSe4
1.0
7.055 0.000 0.000
0.000 4.083 0.000
-2.414 0.000 6.711
Ca Dy Mn Se
2 1 1 4
direct
0.000 0.000 0.000
0.500 0.500 0.000
0.000 0.500 0.500
0.500 0.000 0.500
0.252 0.000 0.742
0.264 0.500 0.269
0.736 0.500 0.731
0.748 0.000 0.258
```

---

# 2
The following is a computed X-ray powder pattern of CaNd8Dy4. It was derived from a crystal structure in Alexandria, relaxed with PBE, using Cu Kα (λ = 1.5418 Å).
Intensities are scaled so that the largest is 100.

Largest 10 diffraction maxima, by intensity, 5° ≤ 2θ ≤ 70°:
- 2θ 29.97, I = 100.0
- 2θ 34.69, I = 33.8
- 2θ 59.29, I = 28.4
- 2θ 50.00, I = 18.1
- 2θ 49.89, I = 18.0
- 2θ 34.83, I = 16.8
- 2θ 59.47, I = 14.2
- 2θ 62.33, I = 6.2
- 2θ 62.22, I = 6.2
- 2θ 5.89, I = 4.9

Crystal structure
```
CaNd8Dy4
1.0
5.770 -2.585 0.000
5.770 2.585 0.000
-1.083 0.000 15.011
Ca Nd Dy
1 8 4
direct
0.000 0.000 0.000
0.076 0.076 0.766
0.234 0.234 0.310
0.306 0.306 0.080
0.460 0.460 0.614
0.540 0.540 0.386
0.694 0.694 0.920
0.766 0.766 0.690
0.924 0.924 0.234
0.152 0.152 0.537
0.379 0.379 0.841
0.621 0.621 0.159
0.848 0.848 0.463
```

---

# 3
The following is a computed X-ray powder pattern of CaNdDy2. It was derived from a crystal structure in Alexandria, relaxed with PBE, using Cu Kα (λ = 1.5418 Å).
Intensities are scaled so that the largest is 100.

Largest 10 diffraction maxima, by intensity, 5° ≤ 2θ ≤ 70°:
- 2θ 31.92, I = 100.0
- 2θ 7.40, I = 31.4
- 2θ 28.10, I = 27.5
The following is a computed X-ray powder pattern of Ca2DyMnSe4. It was derived from a crystal structure in Alexandria, relaxed with PBE, using Cu Kα (λ = 1.5418 Å).
The following is a computed X-ray powder pattern of CaNd8Dy4. It was derived from a crystal structure in Alexandria, relaxed with PBE, using Cu Kα (λ = 1.5418 Å).
The following is a computed X-ray powder pattern of CaNdDy2. It was derived from a crystal structure in Alexandria, relaxed with PBE, using Cu Kα (λ = 1.5418 Å).